More frequent spaceborne sampling of XCO2 improves detectability of carbon cycle seasonal transitions in Arctic
Jet Propulsion Laboratory
Nicholas Parazoo, Jet Propulsion Laboratory, California Institute of Technology
Gretchen Keppel-Aleks, University of Michigan, Climate and Space Sciences and Engineering
**What comes next are records of molecules, not part of the article:**
-- begin --
No. 1
Density functional theory data (ωB97M-V with the def2-TZVPD basis set) for a structure of composition C50H56BCeN12OS at a distorted geometry.

Structure (ORCA input):
```
! wB97M-V def2-TZVPD RIJCOSX def2/J DEFGRID3
* xyz 0 2
Ce 11.38500 13.15259 17.34262
C 9.45782 16.84168 20.27502
C 9.36804 15.58194 19.67033
N 10.51719 15.33635 18.96895
N 11.28467 16.38794 19.12197
C 10.65483 17.32962 19.86032
B 12.70808 16.52403 18.51396
N 13.56870 15.37739 19.05419
C 14.61420 15.47588 19.85792
C 15.06838 14.21121 20.15907
C 14.20207 13.37143 19.43941
N 13.24407 14.06843 18.85458
N 12.56585 16.57390 17.00421
C 12.69909 17.69042 16.27157
C 12.40355 17.41718 14.97659
C 12.08706 16.05569 14.97072
N 12.17950 15.55298 16.18513
H 8.64944 17.36094 20.77955
H 8.53270 14.86635 19.75518
H 11.17847 18.29818 20.07532
H 13.19977 17.62914 18.87660
H 14.90030 16.44229 20.14793
H 15.84433 13.83025 20.77382
H 14.25165 12.30515 19.40300
H 12.97559 18.61192 16.81320
H 12.26186 18.16053 14.19943
H 11.82843 15.49320 14.08071
C 13.95508 12.81669 14.43834
N 13.38927 12.26799 15.70228
C 13.95460 11.22892 16.20375
C 13.55554 10.58822 17.41100
C 14.16037 9.51058 18.10495
C 13.42870 9.26874 19.24538
C 12.39386 10.25220 19.28371
N 12.42469 11.02092 18.19481
C 13.00283 12.48266 13.34227
C 13.33298 11.56083 12.33956
C 12.39176 11.10763 11.41708
C 11.10863 11.68397 11.38055
C 10.80760 12.58304 12.37151
C 11.69695 12.92111 13.39515
H 14.94108 12.44198 14.18954
H 14.05050 13.85585 14.54144
H 14.79833 10.72699 15.68858
H 15.00096 9.00097 17.66961
H 13.50478 8.43482 19.88909
H 11.65414 10.44713 20.06166
H 14.32729 11.16966 12.36282
H 12.65459 10.36523 10.67886
H 10.34010 11.41882 10.63266
H 9.76846 12.93802 12.43089
H 11.42512 13.59905 14.18289
O 9.24999 12.98560 16.97198
H 8.57133 13.66212 17.05439
H 8.58326 11.47834 18.65726
N 10.39194 9.91073 14.80951
C 10.76125 10.78137 15.51283
H 10.28831 9.12642 14.18133
S 7.63096 18.35699 12.39134
C 7.63540 17.45629 13.97132
C 8.69979 17.55634 14.89589
C 8.70027 16.75255 16.05348
N 7.62818 16.02982 16.44495
C 6.59717 15.98554 15.55549
C 6.55590 16.66167 14.34748
C 8.57141 17.14958 11.46599
C 8.19308 15.82207 11.41734
C 8.85087 14.97370 10.56440
N 9.86994 15.31959 9.75143
C 10.22431 16.63740 9.80262
C 9.61753 17.58525 10.61635
H 9.57659 18.19552 14.76452
H 9.55071 16.72022 16.75705
H 5.72483 15.39972 15.93139
H 5.67060 16.60159 13.68200
H 7.44284 15.40099 12.10315
H 8.50828 13.96084 10.51310
H 10.85015 16.99363 8.96219
H 9.80570 18.61741 10.42453
C 9.50404 9.07779 23.89802
C 9.61482 10.09152 22.75835
C 10.40024 11.19661 22.88102
C 10.46915 12.22652 21.96273
C 11.15778 13.54126 22.22544
C 9.69625 11.99258 20.78097
C 9.00015 10.80391 20.53799
C 8.84153 9.89473 21.59095
N 8.34753 10.73859 19.32177
C 7.74140 9.56210 18.65051
C 6.35327 9.23818 19.14795
C 5.70370 8.17926 18.19510
C 5.68942 8.64139 16.77661
C 7.09530 8.95783 16.27649
C 7.96455 7.72933 16.34042
C 7.97433 7.20429 17.82889
C 6.55923 6.89366 18.30324
C 8.66421 8.33639 18.67672
-- stop --
Stanley Sander, Jet Propulsion Laboratory, California Institute of Technology
Brendan Byrne, Jet Propulsion Laboratory, California Institute of Technology
Vijay Natraj, Jet Propulsion Laboratory, California Institute of Technology
Ming Luo, Jet Propulsion Laboratory, California Institute of Technology
Jean-Francois Blavier, Jet Propulsion Laboratory, California Institute of Technology
Len Dorsky, Jet Propulsion Laboratory, California Institute of Technology
Ray Nassar, Environment and Climate Change Canada
Field measurements, towers, aircraft, and satellites indicate pervasive cold season CO2 emissions across northern high latitude tundra and boreal ecosystems. Ongoing emissions over the last several decades are consistent with a hyperactive biosphere, characterized by increased photosynthetic uptake in summer and increased respiration of labile carbon in the cold season. The key remaining question is if, and when, cold season sources, including those from underlying permafrost, become large enough to permanently shift the Arctic into a net carbon source. Satellites such as the Orbiting Carbon Observatory (OCO-2), which map gradients of CO2 in time and space, have greatly advanced our ability to track shifts in carbon balance during the daylit portion of the year. However, polar orbiting satellites generally lack sufficient spatial coverage and repeat frequency needed to track seasonal shifts in carbon balance; in particular, spatial gradients in the timing and magnitude of sink-to source transitions in the early cold season. The Arctic Fourier Transform Spectrometer Investigation (AURORA) mission concept has potential to address sampling limitations and provide more detailed understanding of pan-Arctic carbon cycling. AURORA offers key innovations in instrument design and observing platform needed for pan-Artic carbon cycle studies, including a highly elliptical orbit (HEO) with increased repeat frequency, and a panchromatic imaging Fourier Transform Spectrometer which uses a wide spectral range (0.7–15.4 μm) encompassing both reflected solar and thermal emission bands to improve sensitivity to the lower troposphere. We perform retrieval simulations for different atmospheric, land surface, and time of year conditions in northern high latitudes, and report on flux retrieval performance relative to OCO-2, focusing on the impact of sub-daily shortwave CO2 retrievals. The results demonstrate the benefits of increased sampling frequency for detecting spatial gradients in cold season efflux in the Arctic using combined OCO-2 and AURORA. The proposed concept is expected to improve detection of both slow and rapid carbon cycle changes in the Arctic.